┌──
Density functional theory data (the ωB97M-V functional and the def2-TZVPD basis) for a structure of composition C26H41BiBrF5N4OS2SbSi3Te.

```
86
C26H41BiBrF5N4OS2SbSi3Te, DFT the ωB97M-V functional and the def2-TZVPD basis
Bi 1.671 -0.155 -0.114
C 4.967 4.147 2.663
C 4.094 2.951 2.902
C 4.184 2.182 4.060
C 3.373 1.071 4.231
C 2.502 0.785 3.201
Br 1.290 -0.683 3.355
N 2.405 1.460 2.076
C 3.185 2.539 1.939
H 4.916 4.846 3.498
H 4.678 4.664 1.750
H 6.007 3.838 2.550
H 4.892 2.451 4.834
H 3.407 0.464 5.123
H 3.090 3.082 1.012
C -3.739 2.164 -1.740
Si -2.034 1.441 -2.013
C -2.251 -0.239 -2.804
C -0.937 2.609 -2.965
Sb -0.881 1.166 0.297
Si -2.542 -0.068 1.856
C -4.255 0.210 1.168
C -2.390 0.676 3.561
C -2.137 -1.890 1.843
Si -0.645 3.557 1.278
C -2.419 4.162 1.279
C 0.423 4.584 0.145
C -0.015 3.443 3.044
H -4.031 2.643 -2.679
H -3.803 2.918 -0.957
H -4.471 1.385 -1.526
H -3.000 -0.145 -3.596
H -2.632 -0.969 -2.085
H -1.332 -0.619 -3.241
H -1.138 2.509 -4.034
H 0.125 2.428 -2.802
H -1.149 3.643 -2.684
H -4.474 1.261 0.979
H -4.981 -0.153 1.901
H -4.412 -0.344 0.241
H -2.648 1.736 3.566
H -1.387 0.567 3.973
H -3.087 0.164 4.230
H -2.131 -2.290 0.829
H -2.901 -2.427 2.411
H -1.168 -2.106 2.295
H -2.761 4.424 0.278
H -2.468 5.069 1.889
H -3.118 3.444 1.711
H -0.186 5.063 -0.624
H 1.193 3.998 -0.354
H 0.911 5.374 0.722
H -0.678 4.021 3.691
H 0.989 3.859 3.129
H 0.015 2.423 3.426
S 2.346 0.932 -4.275
C 1.594 0.037 -3.179
N 1.056 -0.527 -2.291
S 0.273 -6.981 -0.592
C 0.345 -5.238 -0.457
C 1.081 -4.705 0.605
C 1.181 -3.339 0.728
N 0.599 -2.474 -0.114
C -0.112 -2.989 -1.121
C -0.273 -4.343 -1.327
C -0.580 -7.192 -2.139
C 0.113 -7.132 -3.339
C -0.601 -7.317 -4.515
N -1.908 -7.556 -4.551
C -2.555 -7.626 -3.394
C -1.941 -7.452 -2.159
H 1.585 -5.347 1.315
H 1.761 -2.912 1.538
H -0.567 -2.279 -1.797
H -0.863 -4.684 -2.165
H 1.178 -6.946 -3.361
H -0.092 -7.274 -5.471
H -3.618 -7.831 -3.447
H -2.511 -7.518 -1.243
F 5.232 2.260 -2.793
Te 3.658 2.158 -1.847
F 4.057 3.792 -1.002
F 2.920 3.386 -3.061
F 3.898 0.251 -1.998
F 4.590 1.628 -0.262
O 2.036 1.888 -1.006
```

As for the charge: +1. The calculation puts the HOMO energy at -0.4146 Ha. The calculation puts the orbital gap at 7.7 eV. For the energy, the calculation gives -184237.768 eV. The calculation puts the energy above the lowest of the compared OMol25 structures with the same formula, charge and spin at 0.912 eV. The value obtained for the molar mass is 1207.3 g mol⁻¹.



Density functional theory data (the ωB97M-V functional and the def2-TZVPD basis) for a structure of composition C26H41Cl15F9N3O9.

```
103
C26H41Cl15F9N3O9, DFT the ωB97M-V functional and the def2-TZVPD basis
C -18.865 5.653 0.899
O -18.755 6.849 0.547
N -17.939 4.851 1.470
C -18.182 3.460 1.741
C -16.531 5.219 1.818
H -19.827 5.118 0.862
H -19.241 3.222 1.643
H -17.864 3.216 2.755
H -17.570 2.800 1.127
H -16.475 6.298 1.965
H -16.240 4.759 2.762
H -15.835 4.851 1.064
C -19.143 1.481 1.907
O -18.643 2.087 2.894
N -19.645 0.224 1.966
C -20.416 -0.327 0.847
C -19.764 -0.665 3.142
H -19.242 1.981 0.931
H -21.440 -0.507 1.174
H -19.996 -1.233 0.408
H -20.721 0.474 0.174
H -20.714 -0.369 3.587
H -19.575 -1.707 2.882
H -19.115 -0.328 3.950
C -20.461 3.787 3.101
O -20.235 4.923 2.747
N -21.694 3.348 3.240
C -21.980 1.891 3.493
C -22.890 4.200 2.946
H -19.695 3.033 3.342
H -22.097 1.823 4.574
H -21.137 1.263 3.205
H -22.885 1.606 2.955
H -22.522 5.161 2.585
H -23.414 3.773 2.091
H -23.594 4.270 3.775
C -21.065 4.469 0.063
C -20.922 4.281 -1.419
O -20.966 3.008 -1.976
C -20.260 1.951 -1.605
O -19.366 1.919 -0.748
C -20.637 0.788 -2.484
F -19.524 0.023 -2.750
F -21.511 -0.018 -1.867
F -21.005 1.201 -3.671
H -21.915 3.958 0.514
H -21.045 5.518 0.359
H -20.148 4.104 0.525
H -19.997 4.742 -1.765
H -21.704 4.802 -1.971
C -20.175 2.046 5.605
C -18.930 2.801 6.130
O -18.669 3.960 5.229
C -18.788 5.179 5.653
O -19.145 5.414 6.842
C -18.448 6.230 4.557
F -19.205 7.331 4.704
F -17.165 6.517 4.771
F -18.492 5.807 3.294
H -20.031 1.440 4.710
└──
Count the lines further up that contain the word "same" and give the number alone.
1